Author: markus6464

A crack in a piece of metal

Elements of Strategy, Part 2: The Digital Divide

Part two of a series, “Elements of Strategy.” Check back each Monday for more insights. Digital communications have flipped the relationship between audience and messenger: audiences are in control of how they’re communicated to,...

A photo of Mark Zuckerberg

Why Facebook Isn’t Going Anywhere

Collective rage against Facebook has become deafening over the last six months. It stands accused of killing everything from our attention span to journalism, to democracy itself. It’s been blamed for helping Russia subvert the...

## Unrelated to this text: calculated crystals
+++
{
  "formula": "ErCdIn",
  "functional": "r²SCAN",
  "state": "relaxed",
  "density_g_cm3": 8.881,
  "space_group": "P-3m1, No. 164",
  "e_tot_ev_per_fu": -78.0,
  "vol_a3_per_cell": 147.52,
  "formation_enthalpy_0k_ev_per_atom": -0.461,
  "lattice_angstrom": [[4.8039, 0.0000, 0.0000], [-2.4020, 4.1603, 0.0000], [0.0000, 0.0000, 7.3812]],
  "species": ["Er", "Er", "Cd", "Cd", "In", "In"],
  "fractional_positions": [[0.0000, 0.0000, 0.2363], [0.0000, 0.0000, 0.7637], [0.3333, 0.6667, 0.9707], [0.6667, 0.3333, 0.0293], [0.3333, 0.6667, 0.5558], [0.6667, 0.3333, 0.4442]]
}

~~~~~

Record 1
Crystalline LaFeGe at its relaxed geometry, computed with PBE.

Cell and atoms, written as POSCAR:
```
LaFeGe
1.0
4.232 0.000 0.000
-2.116 3.665 0.000
0.000 0.000 4.286
La Fe Ge
1 1 1
Direct
0.000 0.000 0.000
0.333 0.667 0.500
0.667 0.333 0.500
```

Summary:
formation energy from the elements	-0.363	eV/atom
mass density	6.680	g/cm³
space group	P-6m2 (187)
electronic total energy	-6.3730	eV/atom

Record 2
Crystalline FeNiSn at its relaxed geometry, computed with PBE.

Cell and atoms, written as POSCAR:
```
FeNiSn
1.0
4.370 0.000 0.000
-2.185 3.784 0.000
0.000 0.000 5.260
Fe Ni Sn
2 2 2
Direct
0.333 0.667 0.250
0.667 0.333 0.750
0.000 0.000 0.000
0.000 0.000 0.500
0.333 0.667 0.750
0.667 0.333 0.250
```

Summary:
formation energy from the elements	0.153	eV/atom
mass density	8.907	g/cm³
space group	P6_3/mmc (194)
electronic total energy	-5.9331	eV/atom

Record 3
Crystalline CeNiSb3 at its relaxed geometry, computed with PBE.

Cell and atoms, written as POSCAR:
```
CeNiSb3
1.0
12.534 0.000 0.000
0.000 6.259 0.000
0.000 0.000 12.232
Ce Ni Sb
8 8 24
Direct
0.196 0.218 0.250
0.196 0.282 0.750
0.200 0.750 0.000
0.200 0.750 0.500
0.800 0.250 0.000
0.800 0.250 0.500
0.804 0.718 0.250
0.804 0.782 0.750
0.400 0.045 0.636
0.400 0.045 0.864
0.400 0.455 0.136
0.400 0.455 0.364
0.600 0.545 0.636
0.600 0.545 0.864
0.600 0.955 0.136
0.600 0.955 0.364
0.003 0.016 0.624
0.003 0.016 0.876
0.003 0.484 0.124
0.003 0.484 0.376
0.272 0.250 0.000
0.272 0.250 0.500
0.273 0.718 0.250
0.273 0.782 0.750
0.442 0.097 0.250
0.442 0.403 0.750
0.470 0.750 0.000
0.470 0.750 0.500
0.530 0.250 0.000
0.530 0.250 0.500
0.558 0.597 0.250
0.558 0.903 0.750
0.727 0.218 0.250
0.727 0.282 0.750
0.728 0.750 0.000
0.728 0.750 0.500
0.997 0.516 0.624
0.997 0.516 0.876
0.997 0.984 0.124
0.997 0.984 0.376
```

Summary:
formation energy from the elements	-0.709	eV/atom
mass density	7.810	g/cm³
space group	Pbcm (57)
electronic total energy	-5.4135	eV/atom
+++

A padlock and key

Top 10 Strategy Secrets

Creating a great strategy isn’t rocket science, but it has its secrets…. Strategy is never about technology, mission statements or org charts: it’s about people and culture. Peter Drucker said “Culture eats strategy for...

A screen capture of a request to Siri on an iPhone

Showering with Siri

Why do the best ideas always pop into our heads when we’re in the shower with a face full of soap? Why do the lightning bolts always strike when we’re unable to write them...

Chess pieces on a board

The Secret to a Great Strategy

A great strategy does several things which aren’t obvious to a junior strategist: It takes account of an organization’s power structures, the ones that set direction, make the big decisions, and which need to...

A hipster with glasses and a bow tie.

Little Data: Bringing Sexy Back

Forget about big data for a moment: it can seem like a mountain peak viewed from afar, a daunting, mist-shrouded goliath in the distance. Like a mountaineer contemplating a climb, tech-heads like you and...

Photo of John D. Rockefeller

It’s Time to Regulate Facebook

Facebook has become an essential utility, and a dangerous one at that. Western democracies can’t afford to let it run unchecked any longer: it’s time to regulate it, like we do with any other...

TTC logo

Why the TTC can’t wish the trolls away

A Toronto Transit Commission (TTC) union recently tried to shut down the @TTCHelps customer service Twitter account. The union is upset over “the barrage of hateful tweets directed at particular employees” on Twitter, including “photos...

What comes next are crystal structures, not part of the entry.
~~~
Record 1
Entry from the Materials Project: a geometry-optimized Cs2KTlI6 structure (GGA-PBE).

It has space group Fm-3m (No. 225), with a = 12.812 Å, b = 12.812 Å, c = 12.812 Å, α = 90.00°, β = 90.00° and γ = 90.00°. Symmetry generates all atoms from Cs at (0.250, 0.250, 0.250), K at (0.000, 0.000, 0.000), Tl at (0.000, 0.000, 0.500) and I at (0.000, 0.000, 0.264).

As for the crystal system: cubic. The formation energy is -117 kJ per mole of atoms.



Record 2
Entry from the Materials Project: a geometry-optimized Cs2KYI6 structure (GGA-PBE).

It has space group Fm-3m (No. 225), with a = 12.821 Å, b = 12.821 Å, c = 12.821 Å, α = 90.00°, β = 90.00° and γ = 90.00°. Symmetry generates all atoms from Cs at (0.250, 0.250, 0.250), K at (0.000, 0.000, 0.000), Y at (0.000, 0.000, 0.500) and I at (0.000, 0.000, 0.264).

As for the crystal system: cubic. The formation energy is -166 kJ per mole of atoms.



Record 3
Entry from the Materials Project: a geometry-optimized Cs3LaI6 structure (GGA-PBE).

It has space group P4_2/m (No. 84), with a = 10.854 Å, b = 10.854 Å, c = 9.023 Å, α = 90.00°, β = 90.00° and γ = 90.00°. Symmetry generates all atoms from Cs at (0.000, 0.000, 0.000), Cs at (0.233, 0.588, 0.000), La at (0.000, 0.500, 0.500), I at (0.062, 0.301, 0.251) and I at (0.283, 0.571, 0.500).

As for the crystal system: tetragonal. The formation energy is -174 kJ per mole of atoms.

=====

Entry 1:
Here is a relaxed SmTl crystal from the Materials Project. Energies are from r2SCAN.

## Properties
The calculated total energy comes out at -83.90 eV per formula unit. For the total magnetization, the calculation gives 0.000 μB/f.u. The calculation puts the mass density at 10.43 g cm⁻³. As for the energy relative to the elements: -47.5 kJ per mole of atoms.

```
data_SmTl
_chemical_formula_sum 'Sm2 Tl2'
_symmetry_space_group_name_H-M 'P 1'
_symmetry_Int_Tables_number 1
_symmetry_space_group_name_Hall 'P 1'
_cell_length_a 4.252
_cell_length_b 5.153
_cell_length_c 5.153
_cell_angle_alpha 90.00
_cell_angle_beta 90.00
_cell_angle_gamma 90.00
loop_
_atom_site_label
_atom_site_fract_x
_atom_site_fract_y
_atom_site_fract_z
Sm1 0.000 0.000 0.000
Sm2 0.000 0.500 0.500
Tl1 0.500 0.000 0.500
Tl2 0.500 0.500 0.000
```



Entry 2:
Here is a relaxed Sm2Tl crystal from the Materials Project. Energies are from r2SCAN.

## Properties
The calculated total energy comes out at -113.83 eV per formula unit. For the total magnetization, the calculation gives 0.978 μB/f.u. The calculation puts the mass density at 9.38 g cm⁻³. As for the energy relative to the elements: -38.1 kJ per mole of atoms.

```
data_Sm2Tl
_chemical_formula_sum 'Sm4 Tl2'
_symmetry_space_group_name_H-M 'P 1'
_symmetry_Int_Tables_number 1
_symmetry_space_group_name_Hall 'P 1'
_cell_length_a 5.498
_cell_length_b 5.498
_cell_length_c 6.829
_cell_angle_alpha 90.00
_cell_angle_beta 90.00
_cell_angle_gamma 120.00
loop_
_atom_site_label
_atom_site_fract_x
_atom_site_fract_y
_atom_site_fract_z
Sm1 0.000 0.000 0.000
~~~

Picture of a child eating something unidentifiable (ice cream?)

........
First-principles (PBE-GGA) data for crystalline CuH6C4O8 at its relaxed geometry, as listed in the Materials Project database.

Geometry as extended XYZ:
```
76
Lattice="8.680 0.000 0.000 0.000 9.163 0.000 0.000 0.000 10.897" Properties=species:S:1:pos:R:3 pbc="T T T"
Cu 0.000 0.000 0.000
Cu 0.000 4.581 5.448
Cu 4.340 0.000 5.448
Cu 4.340 4.581 0.000
H 0.813 1.321 2.359
H 0.813 3.261 7.808
H 1.011 0.313 7.017
H 1.011 4.268 1.569
H 1.999 6.269 10.111
H 1.999 7.475 4.663
H 2.341 1.688 10.111
H 2.341 2.894 4.663
H 3.329 4.895 7.017
H 3.329 8.849 1.569
H 3.527 5.902 2.359
H 3.527 7.842 7.808
H 5.153 1.321 3.089
H 5.153 3.261 8.537
H 5.351 0.313 9.328
H 5.351 4.268 3.879
H 6.339 6.269 6.233
H 6.339 7.475 0.785
H 6.682 1.688 6.233
H 6.682 2.894 0.785
H 7.669 4.895 9.328
H 7.669 8.849 3.879
H 7.867 5.902 3.089
H 7.867 7.842 8.537
C 0.477 4.654 2.454
C 0.477 9.090 7.902
C 1.995 2.157 0.152
C 1.995 2.424 5.600
C 2.345 6.738 0.152
C 2.345 7.006 5.600
C 3.863 0.073 2.454
C 3.863 4.509 7.902
C 4.817 4.654 2.994
C 4.817 9.090 8.442
C 6.335 2.157 5.296
C 6.335 2.424 10.745
C 6.686 6.738 5.296
C 6.686 7.006 10.745
C 8.203 0.073 2.994
C 8.203 4.509 8.442
O 0.444 0.973 3.247
O 0.444 3.608 8.695
O 0.793 0.352 9.032
O 0.793 4.229 3.584
O 1.030 1.531 0.768
O 1.030 3.050 6.216
O 1.843 5.950 6.034
O 1.843 7.794 0.586
O 2.497 1.368 6.034
O 2.497 3.213 0.586
O 3.310 6.112 0.768
O 3.310 7.632 6.216
O 3.547 4.934 9.032
O 3.547 8.810 3.584
O 3.897 5.554 3.247
O 3.897 8.190 8.695
O 4.784 0.973 2.201
O 4.784 3.608 7.650
O 5.133 0.352 7.313
O 5.133 4.229 1.865
O 5.370 1.531 4.681
O 5.370 3.050 10.129
O 6.183 5.950 10.311
O 6.183 7.794 4.863
O 6.837 1.368 10.311
O 6.837 3.213 4.863
O 7.650 6.112 4.681
O 7.650 7.632 10.129
O 7.887 4.934 7.313
O 7.887 8.810 1.865
O 8.237 5.554 2.201
O 8.237 8.190 7.650
```

Density ... 1.88 g/cm³
Energy of formation from the pure elements ... -21.10 eV per formula unit
Offset from the most stable computed form ... 21 meV/atom

---

First-principles (PBE-GGA) data for crystalline Te6Mo3WSe2 at its relaxed geometry, as listed in the Materials Project database.

Geometry as extended XYZ:
```
12
Lattice="3.496 0.000 0.000 -1.748 3.028 0.000 0.000 0.000 39.607" Properties=species:S:1:pos:R:3 pbc="T T T"
Te 0.000 0.000 0.000
Te 0.000 0.000 3.667
Te 0.000 0.000 14.881
Te 0.000 0.000 18.549
Te 0.000 2.019 32.166
Te 0.000 2.019 35.833
Mo 0.000 0.000 33.999
Mo 0.000 2.019 1.835
Mo 0.000 2.019 16.715
W 0.000 0.000 9.274
Se 0.000 2.019 7.651
Se 0.000 2.019 10.898
```

Density ... 5.52 g/cm³
Energy of formation from the pure elements ... -4.82 eV per formula unit
Offset from the most stable computed form ... 0 meV/atom

---

First-principles (PBE-GGA) data for crystalline Na4MgCuAs2O8 at its relaxed geometry, as listed in the Materials Project database.

Geometry as extended XYZ:
```
16
Lattice="5.393 0.000 0.000 -0.537 6.535 0.000 -0.142 -0.365 6.974" Properties=species:S:1:pos:R:3 pbc="T T T"
Na 0.421 1.499 1.649
Na 1.509 4.681 0.068
Na 3.205 1.488 6.906
........

Social media behaves like a two-year-old

Social media vs. child-rearing I don’t have kids, but I’ve observed them intently over the course of my 40-odd years (watching six nieces and nephews grow up gives a bachelor about as much insight...